The dozen roses that you bought for her last year are long gone. That fancy dinner is all but forgotten by this point. Many would argue that Valentine’s Day is a commercial holiday manufactured to increase sales – and we’ll agree. Many of the traditional gifts for Valentine’s Day are either only designed to last for a short period of time, or are far too expensive. In recent years, many people have gotten smarter about their Valentine’s Day gift giving approach by creating something unique.

You can find hundreds of different suggestions online for homemade Valentine’s Day gifts that require you to assemble a variety of your sweetheart’s favorite things or pictures into a memorable keepsake. The truth is, that unless you’re a truly gifted gift maker that you’re creation is likely to end up on a list of funny pinterest fails.

That doesn’t mean that you can’t or shouldn’t be creative with your Valentine’s gift though. No, we aren’t going to suggest that you print business cards with hearts on them – she should already have your number and contact information. Odds are that if you’re planning a creative Valentine’s Day gift, that you already have some great pictures of the two of you together, right?

Have you considered canvas picture printing?

Whether it’s a nice picture of you two from your first date or your anniversary, custom canvas picture printing Printed Valentines Day Canvasmakes for an easy, long lasting Valentine’s Day gift. We offer a variety of sizes, from 1ft x 1ft to 3ft x 3ft, and can even help add a little extra to the print as well. Our designers will work with you to add a meaningful saying, special phrase or important date to the picture if desired.

The mounted canvas is easy to hang with just a few nails in almost any type of wall, so the Valentine’s Day gift can be enjoyed year round. It shows thoughtfulness, planning and perhaps best of all – is an affordable project that we can have delivered to you in just four to six business days.

Going the Extra Mile

Data records, as found in the file:
+++
1.
# GGA-PBE CeSmInAu, optimized geometry
# Calculated volume ... 27.09 Å³/atom
# Calculated formation energy ... -0.47 eV/atom
data_CeSmInAu
_chemical_formula_sum 'Ce4 Sm4 In4 Au4'
_cell_length_a 7.568
_cell_length_b 7.568
_cell_length_c 7.568
_cell_angle_alpha 90.00
_cell_angle_beta 90.00
_cell_angle_gamma 90.00
_space_group_name_H-M_alt 'F -4 3 m'
_space_group_IT_number 216
_space_group_name_Hall 'F -4 2 3'
loop_
_atom_site_label
_atom_site_type_symbol
_atom_site_fract_x
_atom_site_fract_y
_atom_site_fract_z
Ce1 Ce 0.000 0.000 0.000
Sm1 Sm 0.000 0.000 0.500
In1 In 0.250 0.250 0.250
Au1 Au 0.250 0.250 0.750



2.
# GGA-PBE CeInSnAu, optimized geometry
# Calculated volume ... 24.74 Å³/atom
# Calculated formation energy ... -0.42 eV/atom
data_CeInSnAu
_chemical_formula_sum 'Ce4 In4 Sn4 Au4'
_cell_length_a 7.343
_cell_length_b 7.343
_cell_length_c 7.343
_cell_angle_alpha 90.00
_cell_angle_beta 90.00
_cell_angle_gamma 90.00
_space_group_name_H-M_alt 'F -4 3 m'
_space_group_IT_number 216
_space_group_name_Hall 'F -4 2 3'
loop_
_atom_site_label
_atom_site_type_symbol
_atom_site_fract_x
_atom_site_fract_y
_atom_site_fract_z
Ce1 Ce 0.000 0.000 0.000
In1 In 0.000 0.000 0.500
Sn1 Sn 0.250 0.250 0.250
Au1 Au 0.250 0.250 0.750



3.
# GGA-PBE TbCeInAu, optimized geometry
# Calculated volume ... 26.50 Å³/atom
# Calculated formation energy ... -0.49 eV/atom
data_TbCeInAu
_chemical_formula_sum 'Tb4 Ce4 In4 Au4'
_cell_length_a 7.512
_cell_length_b 7.512
_cell_length_c 7.512
_cell_angle_alpha 90.00
_cell_angle_beta 90.00
_cell_angle_gamma 90.00
_space_group_name_H-M_alt 'F -4 3 m'
_space_group_IT_number 216
_space_group_name_Hall 'F -4 2 3'
loop_
_atom_site_label
_atom_site_type_symbol
_atom_site_fract_x
_atom_site_fract_y
_atom_site_fract_z
Tb1 Tb 0.000 0.000 0.000
Ce1 Ce 0.000 0.000 0.500
In1 In 0.250 0.250 0.750
Au1 Au 0.250 0.250 0.250



4.
# GGA-PBE CeTlInAu, optimized geometry
# Calculated volume ... 24.91 Å³/atom
# Calculated formation energy ... -0.38 eV/atom
data_CeTlInAu
_chemical_formula_sum 'Ce4 Tl4 In4 Au4'
_cell_length_a 7.359
_cell_length_b 7.359
_cell_length_c 7.359
_cell_angle_alpha 90.00
_cell_angle_beta 90.00
_cell_angle_gamma 90.00
_space_group_name_H-M_alt 'F -4 3 m'
_space_group_IT_number 216
_space_group_name_Hall 'F -4 2 3'
loop_
_atom_site_label
_atom_site_type_symbol
_atom_site_fract_x
_atom_site_fract_y
_atom_site_fract_z
Ce1 Ce 0.000 0.000 0.000
Tl1 Tl 0.250 0.250 0.750
In1 In 0.000 0.000 0.500
Au1 Au 0.250 0.250 0.250



5.
# GGA-PBE CeTm2InAu4, optimized geometry
# Calculated volume ... 22.95 Å³/atom
# Calculated formation energy ... -0.69 eV/atom
data_CeTm2InAu4
_chemical_formula_sum 'Ce3 Tm6 In3 Au12'
_cell_length_a 5.0389
_cell_length_b 5.0389
_cell_length_c 25.0537
_cell_angle_alpha 90.00
_cell_angle_beta 90.00
_cell_angle_gamma 120.00
_space_group_name_H-M_alt 'R -3 m'
_space_group_IT_number 166
_space_group_name_Hall '-R 3 2"'
loop_
_atom_site_label
_atom_site_type_symbol
_atom_site_fract_x
_atom_site_fract_y
+++

If you’re looking for something a bit more playful, you can create custom trading cards for Valentine’s Day this year. This idea is certainly unique, but we’ve seen plenty of customers come up with creative ways to customize trading cards for gifts on Valentine’s Day – and we’re sure you could too! Feel free to contact us with any ideas that you may have so we can get started on a project for you right away!

Published by Nick Artounian

I am the CEO of a successful online printing company in the Greater Los Angeles area. I enjoy professional networking with clients and members of the design community.